Wanted
Count the lines further down that contain the word "relaxed" and give the number alone, please.

Input
Record 1
A relaxed Li4Th3Te8 crystal, computed with GGA-PBE.

Unit cell a=8.7027 b=8.7027 c=8.7311 alpha=118.53 beta=118.53 gamma=91.92
With the nearest neighbours (Å) after each atom.
Positions (direct):
Li1 0.0000 0.0000 0.0000  6 Te 3.02-3.17
Li2 0.0000 0.5000 0.0000  6 Te 3.03-3.17
Li3 0.5000 0.0000 0.0000  6 Te 3.03-3.17
Li4 0.5000 0.5000 0.5000  6 Te 2.99-3.19
Th1 0.0000 0.5000 0.5000  6 Te 3.03-3.17
Th2 0.5000 0.0000 0.5000  6 Te 3.03-3.17
Th3 0.5000 0.5000 0.0000  6 Te 3.04-3.20
Te1 0.2354 0.2354 0.4988  3 Th 3.13-3.19, 2 Li 3.17-3.19
Te2 0.2440 0.7560 0.0000  3 Li 3.03-3.05, 3 Th 3.17-3.20
Te3 0.2543 0.7457 0.5000  2 Th 3.03, 3 Li 3.07-3.17
Te4 0.2637 0.2637 0.0290  4 Li 2.99-3.13, 1 Th 3.04
Te5 0.7363 0.7363 0.9710  4 Li 2.99-3.13, 1 Th 3.04
Te6 0.7457 0.2543 0.5000  2 Th 3.03, 3 Li 3.07-3.17
Te7 0.7560 0.2440 0.0000  3 Li 3.03-3.05, 3 Th 3.17-3.20
Te8 0.7646 0.7646 0.5012  3 Th 3.13-3.19, 2 Li 3.17-3.19

Output
**Calculated total energy**: -4.6767 eV/atom
**Symmetry**: No. 12
**Uncorrected formation energy**: -1.01 eV per atom

Record 2
A relaxed K3Na2I3Cl2 crystal, computed with GGA-PBE.

Unit cell a=15.4519 b=15.4519 c=15.4519 alpha=160.93 beta=160.93 gamma=27.09
With the nearest neighbours (Å) after each atom.
Positions (direct):
K1 0.0000 0.0000 0.0000  6 I 3.62-3.66
K2 0.3836 0.3836 0.0000  1 Cl 3.14, 1 I 3.50
K3 0.6164 0.6164 0.0000  1 Cl 3.14, 1 I 3.50
Na1 0.2500 0.7500 0.5000  4 Cl 2.71
Na2 0.7500 0.2500 0.5000  4 Cl 2.71
I1 0.1220 0.1220 0.0000  5 K 3.62-3.66
I2 0.5000 0.5000 0.0000  6 K 3.50-3.62
I3 0.8780 0.8780 0.0000  5 K 3.62-3.66
Cl1 0.2792 0.2792 0.0000  4 Na 2.71
Cl2 0.7208 0.7208 0.0000  4 Na 2.71

Output
**Calculated total energy**: -2.9973 eV/atom
**Symmetry**: No. 139
**Uncorrected formation energy**: -1.57 eV per atom

Record 3
A relaxed CaSc2As crystal, computed with GGA-PBE.

Unit cell a=9.3687 b=9.3687 c=9.3687 alpha=23.30 beta=23.30 gamma=23.30
With the nearest neighbours (Å) after each atom.
Positions (direct):
Ca1 0.0000 0.0000 0.0000  6 Sc 3.75, 6 Ca 3.78
Sc1 0.2218 0.2218 0.2218  3 As 2.65
Sc2 0.7782 0.7782 0.7782  3 As 2.65
As1 0.5000 0.5000 0.5000  6 Sc 2.65

Output
**Calculated total energy**: -5.3581 eV/atom
**Energy relative to the elements**: -0.53 eV per atom
**Symmetry**: No. 166

Record 4
A relaxed NbGa crystal, computed with GGA-PBE.

Unit cell a=6.0357 b=6.0357 c=6.0357 alpha=100.62 beta=100.62 gamma=129.15
With the nearest neighbours (Å) after each atom.
Positions (direct):
Nb1 0.0555 0.3399 0.3954  1 Nb 2.61, 5 Ga 2.68-2.80
Nb2 0.3399 0.9445 0.2844  1 Nb 2.61, 5 Ga 2.68-2.80
Nb3 0.6601 0.0555 0.7156  1 Nb 2.61, 5 Ga 2.68-2.80
Nb4 0.9445 0.6601 0.6046  1 Nb 2.61, 5 Ga 2.68-2.80
Ga1 0.2900 0.6001 0.8901  2 Ga 2.54, 5 Nb 2.68-2.80
Ga2 0.3999 0.2900 0.6898  2 Ga 2.54, 5 Nb 2.68-2.80
Ga3 0.6001 0.7100 0.3102  2 Ga 2.54, 5 Nb 2.68-2.80
Ga4 0.7100 0.3999 0.1099  2 Ga 2.54, 5 Nb 2.68-2.80

Output
**Calculated total energy**: -6.4655 eV/atom
**Energy relative to the elements**: 0.08 eV per atom
**Symmetry**: No. 87

Record 5
A relaxed Cr2CuP crystal, computed with GGA-PBE.

Unit cell a=4.0742 b=4.0742 c=4.0742 alpha=60.00 beta=60.00 gamma=60.00
With the nearest neighbours (Å) after each atom.
Positions (direct):
Cr1 0.0000 0.0000 0.0000  4 Cr 2.49, 4 P 2.49
Cr2 0.2500 0.2500 0.2500  4 Cr 2.49, 4 Cu 2.49
Cu1 0.5000 0.5000 0.5000  4 Cr 2.49, 4 P 2.49
P1 0.7500 0.7500 0.7500  4 Cr 2.49, 4 Cu 2.49

Output

Solution
5